## Work order
Restate only the lines further below with the word "RIJCOSX" in them.
## Listing
'''
(1)
# C4H10S

2 unconnected molecules or ions with the total composition C4H10S (ωB97M-V/def2-TZVPD, the Open Molecules 2025 dataset).

E_HOMO: -9.35 eV
Gap between HOMO and LUMO: 6.66 eV

Geometry as ORCA input:
```
! wB97M-V def2-TZVPD RIJCOSX def2/J DEFGRID3
* xyz 0 1
C 1.599 -0.927 -1.175
C 0.183 -0.387 -0.958
C -0.143 -0.064 0.483
C -1.278 0.954 0.610
S -1.081 1.044 3.522
H 2.342 -0.208 -0.815
H 1.763 -1.717 -0.436
H 1.749 -1.233 -2.205
H -0.529 -1.014 -1.506
H 0.045 0.460 -1.648
H 0.726 0.366 0.978
H -0.565 -0.945 0.969
H -2.261 0.604 0.302
H -1.104 1.933 0.167
H -1.445 1.134 1.712
*
```



(2)
# C4H10S

C4H10S in the gas phase (ωB97M-V/def2-TZVPD, the Open Molecules 2025 dataset).

E_HOMO: -8.52 eV
Structure (SMILES): CCCSC
Gap between HOMO and LUMO: 9.59 eV

Geometry as ORCA input:
```
! wB97M-V def2-TZVPD RIJCOSX def2/J DEFGRID3
* xyz 0 1
C 2.455 0.385 -0.203
C 1.239 -0.246 0.543
C 0.179 -0.876 -0.336
C -1.235 1.305 -0.061
H 2.201 1.449 -0.544
H 3.237 0.545 0.565
H 3.070 -0.154 -0.981
H 1.692 -1.000 1.095
H 0.795 0.434 1.300
H 0.311 -1.988 -0.443
'''
## Response
! wB97M-V def2-TZVPD RIJCOSX def2/J DEFGRID3
! wB97M-V def2-TZVPD RIJCOSX def2/J DEFGRID3